Given >
+++
For Ca7ZrN6, DFT lattice parameters and positions (GGA-PBE) gives the theoretical XRD peak list in this record (Cu Kα, 1.54184 Å).

Structural model:
```
Ca7ZrN6
1.0
-3.1980 5.8972 6.5373
3.1980 -5.8972 6.5373
3.1980 5.8972 -6.5373
Ca Zr N
14 2 12
direct
0.0421 0.2191 0.2612
0.1066 0.4915 0.8407
0.1508 0.9915 0.3849
0.2500 0.2500 0.0000
0.3492 0.7341 0.8407
0.3934 0.2341 0.3849
0.4579 0.7191 0.1770
0.5421 0.2809 0.8230
0.6066 0.7659 0.6151
0.6508 0.2659 0.1593
0.7500 0.7500 0.0000
0.8492 0.0085 0.6151
0.8934 0.5085 0.1593
0.9579 0.7809 0.7388
0.2500 0.7500 0.5000
0.7500 0.2500 0.5000
0.0622 0.8716 0.5923
0.1570 0.8790 0.0360
0.2207 0.6284 0.1906
0.2793 0.4699 0.4077
0.3430 0.3790 0.7220
0.4378 0.0301 0.8094
0.5622 0.9699 0.1906
0.6570 0.6210 0.2780
0.7207 0.5301 0.5923
0.7793 0.3716 0.8094
0.8430 0.1210 0.9640
0.9378 0.1284 0.4077
```

Main lines, in order of rising 2θ (5° ≤ 2θ ≤ 70°):
20.3 deg, d = 4.379 Å, I 18.6
20.8 deg, d = 4.263 Å, I 32.4
29.7 deg, d = 3.004 Å, I 16.5
30.3 deg, d = 2.949 Å, I 26.9
31.1 deg, d = 2.873 Å, I 27.9
31.3 deg, d = 2.859 Å, I 100.0
34.2 deg, d = 2.623 Å, I 23.6
34.7 deg, d = 2.583 Å, I 47.1
44.0 deg, d = 2.058 Å, I 22.1
50.7 deg, d = 1.801 Å, I 18.4

---

For AlN3F6, DFT lattice parameters and positions (GGA-PBE) gives the theoretical XRD peak list in this record (Cu Kα, 1.54184 Å).

Structural model:
```
AlN3F6
1.0
0.0000 3.7846 3.7846
3.7846 0.0000 3.7846
3.7846 3.7846 0.0000
Al N F
1 3 6
direct
0.0000 0.0000 0.0000
0.2500 0.2500 0.2500
0.5000 0.5000 0.5000
0.7500 0.7500 0.7500
0.2461 0.2461 0.7539
0.2461 0.7539 0.2461
0.2461 0.7539 0.7539
0.7539 0.2461 0.2461
0.7539 0.2461 0.7539
0.7539 0.7539 0.2461
```

Main lines, in order of rising 2θ (5° ≤ 2θ ≤ 70°):
20.3 deg, d = 4.370 Å, I 11.4
23.5 deg, d = 3.785 Å, I 71.4
33.5 deg, d = 2.676 Å, I 15.7
39.5 deg, d = 2.282 Å, I 4.1
41.3 deg, d = 2.185 Å, I 71.4
48.1 deg, d = 1.892 Å, I 100.0
52.7 deg, d = 1.737 Å, I 1.3
54.2 deg, d = 1.693 Å, I 24.1
59.9 deg, d = 1.545 Å, I 4.4
63.9 deg, d = 1.457 Å, I 3.0

---

For SiO2, DFT lattice parameters and positions (GGA-PBE) gives the theoretical XRD peak list in this record (Cu Kα, 1.54184 Å).

Structural model:
```
SiO2
1.0
12.9780 -2.6401 0.0000
12.9780 2.6401 0.0000
-3.9786 0.0000 11.5933
Si O
14 28
direct
0.0627 0.0627 0.4084
0.0682 0.0682 0.6697
0.2823 0.2823 0.7186
0.2824 0.2824 0.9815
0.2877 0.2877 0.3598
0.3689 0.3689 0.2136
0.3760 0.3760 0.6163
0.6240 0.6240 0.3837
0.6311 0.6311 0.7864
0.7123 0.7123 0.6402
0.7176 0.7176 0.0185
0.7177 0.7177 0.2814
0.9318 0.9318 0.3303
0.9373 0.9373 0.5916
0.0000 0.5000 0.0000
0.9997 0.5004 0.3461
0.0003 0.4996 0.6539
0.0031 0.0031 0.6438
0.0822 0.0822 0.5492
0.1561 0.6561 0.2563
0.1649 0.6641 0.6371
0.2873 0.2873 0.8534
0.3175 0.3175 0.2621
0.3333 0.3333 0.4862
0.3359 0.8351 0.3629
0.3433 0.3433 0.7091
0.3441 0.3441 0.0735
0.3439 0.8439 0.7437
0.5000 0.0000 0.0000
0.5004 0.9997 0.3461
0.4996 0.0003 0.6539
0.6561 0.1561 0.2563
0.6559 0.6559 0.9265
0.6567 0.6567 0.2909
0.6641 0.1649 0.6371
0.6667 0.6667 0.5138
0.6825 0.6825 0.7379
0.7127 0.7127 0.1466
0.8351 0.3359 0.3629
0.8439 0.3439 0.7437
0.9178 0.9178 0.4508
0.9969 0.9969 0.3562
```

Main lines, in order of rising 2θ (5° ≤ 2θ ≤ 70°):
7.2 deg, d = 12.275 Å, I 85.4
7.6 deg, d = 11.593 Å, I 100.0
8.6 deg, d = 10.252 Å, I 66.5
18.4 deg, d = 4.834 Å, I 15.0
20.0 deg, d = 4.437 Å, I 99.4
21.7 deg, d = 4.091 Å, I 13.9
22.9 deg, d = 3.888 Å, I 20.3
23.0 deg, d = 3.865 Å, I 27.1
24.8 deg, d = 3.596 Å, I 15.1
26.1 deg, d = 3.417 Å, I 11.7

---

For Li2InCuF6, DFT lattice parameters and positions (GGA-PBE) gives the theoretical XRD peak list in this record (Cu Kα, 1.54184 Å).

Structural model:
```
Li2InCuF6
1.0
0.0000 4.2232 4.2232
4.2232 0.0000 4.2232
4.2232 4.2232 0.0000
Li In Cu F
2 1 1 6
direct
0.2500 0.2500 0.2500
0.7500 0.7500 0.7500
0.0000 0.0000 0.0000
0.5000 0.5000 0.5000
0.2502 0.2502 0.7498
0.2502 0.7498 0.2502
0.2502 0.7498 0.7498
0.7498 0.2502 0.2502
0.7498 0.2502 0.7498
0.7498 0.7498 0.2502
```
+++
Brief >
Filter the data earlier on: keep the lines with the word "Ca".
Reply >
Ca Zr N